
Wednesday, June 16, 2010

Obama: The Most Incompetent and Dangerous President Ever!


In a little more than 18 months, President Obama has managed to destroy America’s reputation around the world by damaging relationships with our traditional allies and making America appear as a weak and appeasing beggar to some of the most totalitarian and evil regimes in the world.

Meanwhile, his destructive obsession with restructuring the U.S. economy to mirror the socialist systems of Europe and several Third World nations are doing such long-term damage to our future prosperity that today’s college-age generation, (Gen Y or the Millennial Generation-born between the early 1980s-late 1990s), will have a less prosperous lifestyle and far fewer opportunities for growth than the previous generation had.

No longer are today’s older generations, including Generation X (born between 1965 -1980) making sacrifices in the hope that their offspring will be able to have a better life than the current one we inherited from our parents and grandparents. For the first time in American history, an older generation will not be leaving an even more prosperous America to its successor.

During the great “Obama Apology for America” tour, the president’s continual criticism of the nation he “leads” and his actions of cutting America down to size as just “another standard player” on the world stage were a bold statement to the international community about the contempt he holds for the United States. He has gone to the capitals of foreign nations, many of them hostile to the U.S., to grovel and bow before tyrant kings and dictators. Within weeks of assuming the Oval Office, Obama went to great pains in explaining how America is nothing exceptional, but simply an equal to all other nations, including the likes of countries such as Bangladesh, Yemen and Lebanon.

Starting with his first “official” televised interview, granted to the Islamic television network Al Jazeera, Obama has taken great pains to explain to Muslim audiences that America is “not a Christian nation,” and that Americans have so many Muslims that we are actually more of an “Islamic nation.” He has told audiences, from Cairo to Istanbul, that America has only become the powerhouse it is because Americans built this nation based upon the “tradition and culture” of the past “great Islamic” civilization. In churning out this amazing ditty to his Muslim audiences, he forgot to mention that America had actually built its representative republican form of government based on the principles as founded in the Roman Republic, which was a) European, b) eventually Christian, and c) at least 500 years or more before Mohammad (Islam’s founder) was even conceived in the Arabian peninsula.

Appeasing his friends in the Islamic world to the fullest extent, Obama has openly declared his outright hostility and anti-Semitism to the State of Israel. Making continual overtures to all the Muslim terrorist nations and organizations, many who carry an “official” policy of Israel’s destruction in their charters, Obama has simultaneously treated the Jewish state as a pariah nation. His undiplomatic and hostile treatment of Israeli Prime Minister Benjamin Netanyahu during a recent visit to the White House clearly demonstrated where this president’s loyalties lie.

Obama has even supported, for the first time, a UN resolution singling out Israeli ambiguity about its nuclear weapon reserves. This has been an issue that no other previous president has touched, as it has always been understood that Israel, being small and surrounded by enemies on all sides, needs to keep this strategic policy of nuclear ambiguity in place as deterrence to its neighbors. However, Obama has decided it is time to strip Israel of a defense upon which its very survival as a nation rests. The world knows Israel would never use nuclear weapons except defensively, and they know the UN is a hotbed of Islamic bloc nations with hostile intentions for Israel. Yet Obama has put the United States on the side of aggressor, terrorist nations by allowing this historic condemnation to go through.

In further evidence of his anti-Israel policies, Obama has openly chastised the Jewish state for its “crime” of defending itself via a legal blockade of Gaza, the Hamas-run terrorist hotbed south of Israel’s border. Gaza was part of the Democrat’s cherished “land-for-peace” deals in the Bill Clinton 1990s in which Israel surrendered defensive buffer zones against hostile neighbors to create a “Palestinian” state, in exchange for “Palestine” to drop its “destruction of Israel” policies and live in peace next door to the Jewish state.

Israel’s reward for this good-faith gesture has been a rabid Islamist population that immediately elected Hamas as the head of its government. Gaza is now administered by a terrorist organization with a charter to destroy Israel.
Additionally, Israel has reaped the benefits of “land-for-peace” in the form of Israeli citizens being kidnapped at the border, suicide bombers blowing Israeli civilians to bits as they peacefully go about their daily lives, and thousands of explosive rockets, launched from Gaza territory, raining down on the homes of Israeli civilians residing in Israel-proper.

When Islamist “humanitarian” groups continue to try and bring weapons and military supplies under the guise of “humanitarian aid” directly to Gaza, in defiance of Israel’s request that all ships go to Israel for unloading of all humanitarian aid that Israel will deliver to Gaza itself, the Jewish state has no choice but to blockade Gaza to prevent further terrorist attacks. Despite the fact that these “humanitarian groups” are openly declaring their main purpose is to provoke Israel and interfere in running the blockade, rather than in delivering true “humanitarian aid” to Gaza, Israel has had to resort to boarding ships and stopping weapons trafficking.
Each time Israel has tried to aggressively defend itself against Hamas, whether by militarily entering Gaza to weed out the terrorists or by closing the border, the UN and “world community” has organized protests and condemnations against Israel. The United States has remained the only nation to defend Israel, recognizing that the Jewish state is a democratic, peaceful nation, friend and ally in the region.

All past U.S. presidents have stood by Israel, even Carter and Clinton. The exception is President Barak Hussein Obama, who has openly chastised Israel for defending itself and has withheld U.S. support of Israel in her ongoing dispute with the “Palestinians.” There is no doubt that Israel has been completely abandoned by Obama’s America, as this president is much more sympathetic to the likes of Hamas’ terrorists rather than a democratic Israel. He almost seems intent on pulling the rug out from under the Jewish state and giving Israel a rope with which to hang itself.

However, Obama has not only thrown Israel to the wolves, he has also completely disregarded our other major allies, such as Britain, by never missing an opportunity to snub or insult the Brits.

While Obama is destroying American influence and goodwill with its friends and allies, he is courting “dialogue” with the likes of the Islamic terrorists and Communist cults-of-personalities. Obama’s open, disgusting and submissive overtures to the likes of Iran for a “face-to-face talk” about how Iran should quit trying to join the nuclear club have fallen on deaf ears. Each time Obama has tried to get a meeting with Iranian “President” Mahmoud Ahmadinejad, Tehran has reciprocated with more insults and more statements of destroying Israel.

Likewise for North Korea and its sinister dictator, Kim Jong Il, who have realized that this president is nothing but a weak paper tiger, totally dependent on high rhetoric and low on an actual spine to stand up to aggression. Hence North Koreas bold act of war earlier last month, when a North Korean sub torpedoed and sunk a South Korean naval vessel in South Korean waters. Kim Jong Il, like all dictators and totalitarians the world over, know that Obama will do nothing to stop them beyond using a few teleprompter words to “condemn” their actions.

While having created a power vacuum in a dangerous world by his total lack of spine and uninspiring “leadership,” Obama has presided over the highest deficit spending in the nation’s history. In just 18 months, this administration has outspent all previous presidents combined! While the nation has gone from 8% unemployment at the time of former President Bush’s departure to 10% or more while under Obama’s watch, this administration has simply ignored the economy in its blind-eyed approach to ramming an unwanted, nationalized and socialized health care law into being.

While the U.S. states bordering Mexico have pleaded for Obama to clamp down on illegal immigration, his regime has instead ignored the cries for help to work on more “important issues” such as making sure that gays and lesbians can openly serve in the military. When those states were ignored by Obama, they took matters into their own hands, only to be demonized by their “president” as “racists and bigots” who are propagating an illegal activity against “undocumented workers.” Just to make sure the border states understood where Obama’s loyalties lie, he invited Mexican President Calderon to the White House for a state dinner, giving the Mexican president an opportunity to dictate that Americans must quit defending the border and that it is the Americans, and especially Arizonans, who are the real criminals here.

In light of the British Petroleum (BP) oil rig disaster in the Gulf of Mexico, Obama has been clueless. He ignored the problem for almost 44 days, and then only addressed the issue after members of his own political party pressured him to at least act like he was concerned about the people of the Gulf coast. Over the course of the past two weeks, in what is arguably the worst disaster ever to hit the United States, this president has simply resorted to bullying BP with ultimatums and threats as the company works around the clock to literally stop the well. While BP actually attempts to work on stopping the disaster, Obama stands at a podium pointing an accusing finger at the company, while doing nothing to assist in aiding the beleaguered states whose economies and industries are threatened by the coming onslaught of oil contamination on the shores.

Louisiana Gov. Bobby Jindall, who time and again has begged the Obama administration to allow the state to dredge and build artificial sand barriers out in the Gulf to absorb the coming oil and thus save the coastline from disaster. All of these requests by Jindall, a Republican, were simply ignored and dismissed by Team Obama. Yet this president demands that it is the federal government who is in charge of “getting that damned hole plugged.” After all the accusations Obama made against Bush’s handling of Katrina on the campaign trail, he should be ashamed of himself. His absolute mishandling of the crisis is light years beyond the mismanagement that Bush was accused of, making Obama a far more incompetent crisis manager.

Obama has managed to do the impossible. He has managed to make even Jimmy Carter look like a good president. His total lack of competence, diplomatic skills and understanding of the realities of the world, coupled with his total lack of loyalty to the country he “serves” and his disdain for all things American while supporting everything from terrorist dictatorships to illegal aliens, makes this radical in the White House not only the most incompetent president in the nation’s history, but also one of the most dangerous.

The GOVERNMENT IS SEEKING "PERMISSION" to use Drones to monitor the US

Just reported by Andrew Napolitano, today, 6/16/2010 @14:45 hrs

The GOVERNMENT now wants to use DRONES
to monitor the US!

The excuse being given is: to MONITOR THE BORDER.
(yeah, sure, like I believe that will be the ONLY use!) 

Shall we just put cameras in our houses and cars, and make it "convenient" for them?

Can we say "POTENTIAL FOR ABUSE OF POWER?" AND "1984" by George Orwell??

This is NOT permitted by the 4th Amendment!



Obama's speech: There's a pipe spewing a gazillion gobs of oil into the gulf, so let's build more windmills


June 16, 2010
2:26 am

                  Gov. Charlie Crist checks a Florida beach for signs of oil
                                                       (in a girls butt)

• Here the text breaks off for records of molecules:
-- begin --
Here is a 6-piece molecular cluster, C11H35O6 overall at a distorted geometry from OMol25. Energies are from the ωB97M-V functional and the def2-TZVPD basis.

Summary:
- Frontier orbital gap: 10.179 eV
- Charge: +1
- ΔE to the lowest compared entry with this formula, charge and spin: 152.8 kJ/mol
- Highest occupied orbital energy: -12.51 eV
- LUMO energy: -2.3317 eV

Last column: Mulliken charge in e.
CARTESIAN COORDINATES (ANGSTROEM)
O (-6.266, -15.847, -10.179)  -0.59
O (2.072, -15.561, -8.169)  -0.55
O (-4.062, -13.122, -10.204)  -0.46
O (-3.680, -15.664, -9.535)  -0.05
O (-3.487, -14.590, -7.142)  -0.64
O (-2.127, -15.163, -11.684)  -0.42
C (-3.286, -12.245, -9.479)  0.89
C (-3.979, -10.860, -9.639)  -1.48
C (0.831, -15.367, -8.776)  -0.30
C (-1.767, -12.255, -9.883)  -0.87
C (-6.455, -17.230, -9.919)  -0.14
C (-5.407, -14.777, -5.768)  -1.17
C (-1.936, -16.387, -12.331)  -0.42
C (-4.146, -15.497, -6.255)  -0.27
C (-3.253, -16.783, -13.086)  -0.98
C (-7.385, -17.444, -8.702)  -1.14
C (0.460, -16.557, -9.702)  -0.48
H (-3.370, -15.165, -8.775)  0.38
H (-4.977, -10.725, -9.222)  0.38
H (-8.346, -17.046, -9.030)  0.37
H (-7.097, -15.427, -10.415)  0.27
H (-5.796, -15.339, -4.919)  0.38
H (-6.864, -17.673, -10.827)  0.36
H (-4.408, -16.458, -6.698)  0.32
H (-7.492, -18.512, -8.511)  0.37
H (-7.035, -16.942, -7.801)  0.19
H (-4.092, -12.914, -11.141)  0.30
H (-2.273, -14.539, -12.399)  0.22
H (-1.172, -11.688, -9.167)  0.43
H (-1.578, -12.021, -10.930)  0.28
H (0.833, -14.413, -9.302)  0.23
H (-3.362, -10.144, -9.096)  0.38
H (-3.371, -12.538, -8.432)  -0.21
H (-1.167, -16.247, -13.089)  0.37
H (-3.545, -16.061, -13.848)  0.35
H (-3.196, -17.735, -13.614)  0.39
H (-1.538, -13.309, -9.724)  0.00
H (-3.251, -13.814, -6.628)  0.25
H (2.726, -15.531, -8.872)  0.34
H (-3.170, -15.402, -10.305)  0.34
H (0.903, -17.504, -9.393)  0.40
H (0.913, -16.431, -10.685)  0.34
H (-5.485, -17.694, -9.740)  0.26
H (-6.200, -14.705, -6.512)  0.24
H (-4.088, -10.477, -10.653)  0.39
H (-1.613, -17.118, -11.590)  0.29
H (-5.181, -13.780, -5.389)  0.42
H (-3.451, -15.775, -5.462)  0.33
H (0.072, -15.193, -8.013)  0.23
H (-4.609, -15.496, -9.709)  0.51
H (-4.112, -16.871, -12.420)  0.14
H (-0.626, -16.626, -9.760)  -0.18

---

Here is C11H36K2N12O11 as an isolated structure at a distorted geometry from OMol25. Energies are from the ωB97M-V functional and the def2-TZVPD basis.

Summary:
- Frontier orbital gap: 6.839 eV
- ΔE to the lowest compared entry with this formula, charge and spin: 0.0 kJ/mol
- Highest occupied orbital energy: -8.44 eV
- LUMO energy: -1.6044 eV

Last column: Mulliken charge in e.
CARTESIAN COORDINATES (ANGSTROEM)
K (0.582, 1.933, 3.410)  1.02
K (2.438, 3.467, 0.023)  0.99
O (-1.698, 0.202, 2.844)  -0.58
O (0.243, 1.853, -1.141)  -0.69
O (-0.918, 0.403, -0.008)  -0.09
O (1.891, -3.836, 2.141)  -0.77
O (3.439, 0.557, 3.343)  -0.62
O (-4.945, 2.636, -1.736)  -0.71
O (1.107, 1.065, 0.743)  -0.69
O (-1.590, -1.566, -4.578)  -0.75
-- stop --

For all his reputation as the nation's Top Talker, Barack Obama took his sweet time giving a maiden Oval Office address to the country. And waiting another nearly 60 days to speak nationally about the oil spill that’s become the worst environmental disaster in the nation’s history.

Obama, the first modern president to pass his first full year in office without addressing the country from his historic desk, had the setting right. Just back from a day-and-a-half on the gulf coast listening, reassuring, talking tourism, eating seafood. He wore the proper suit, had the requisite flags and family photos in the background.

For 18 minutes he delivered the words crisply and forthrightly, though too often distracting anxious viewers with his fidgeting hands like the lecturing professor he once was. Or wait! Was Mr. Cool nervous? (See video below.)

Obama had the firmness down OK: Make no mistake etc. We will hold BP accountable etc. He had the God references. The talk of real live shrimpers devastated. An American way of life threatened. And though he likened the spill more to an epidemic, he also brought in the requisite battle metaphors. And, in case anyone hasn't heard by now, Obama noted has another Nobel Prize winner in his cabinet, Stephen Chu, who hasn't been able to stop the oil leak either.

But there was something wrong. The first two-thirds of the president's remarks read just fine (Full text over here on The Ticket as usual). By golly, we’ll get the money, we’ll clean it up, no matter how long it takes.

But watching the president and hearing him was a little creepy; that early portion of the address was robotic, lacked real energy, enthusiasm. And worst of all specifics. He was virtually detail-less.

After almost two months of waiting through continuously contradictory reports, an anxious American public wanted to know, HOW are you going to accomplish all this?

Even Obama's cheerleaders over at MSNBC were complaining. "Where was the How in this speech?" demanded Keith Olbermann. Seriously.

Everyone's assumed that fixing the leak was a given since Day Four, which was still five days before the Democrat got his big plane and presidential entourage down there.

Local gulf coast officials are tearing out their hair trying to comprehend and comply with seventeen (as in seven more than 10) federal agencies falling all over themselves to do The Boss’ bidding and help and impose and superimpose their visions and regulations on what is a war zone with hundreds of ships and some 30,000 people involved, many of them frightened. And all of them inexperienced on a disaster of this scale.

Trust me, the president said, tomorrow I'm going to give those BP execs what-for. As CBS' Mark Knoller noted on his Twitter account, the president has allotted exactly 20 whole minutes this morning -- 1,200 fleeting seconds -- to his first-ever conversation with the corporation responsible for the disaster.

Then, he's got an important lunch with Joe "I Witnessed the World Cup's First Tie" Biden.

Well, just-believe-in-my-change-to-believe-in may have been good enough to win Obama's party primaries and the general election in 2008 and drag along into office enormous congressional majorities of fellow party travelers.

But after yelling "JOBS!" for a year and getting a protracted Democratic intra-party fight over Obama's beloved healthcare instead, Americans wanted some Oval Office specifics Tuesday evening on stopping the uncontrolled undersea oil escape.

Instead, Obama was like a Harvard-trained nurse talking vacation to a new patient bleeding all over the ER floor. Hello, could we please stop the blood flow here before we discuss the long-term recovery?

Obama’s delivery did not really come alive until the end when the ex-community organizer got into his favorite Big Picture stuff. Memo to American Homeowners: Do not call Obama over to fix your leaking roof – or pipe. Have him design a new house, no, better yet an entire neighborhood or city from scratch.

Following the advice of his chief of staff, Rahm "I Got a Rent-Free Apartment from a BP Adviser" Emanuel, Obama is determined to leave no crisis unused. When he got into the decades-long fossil fuel addiction rehab stuff, his eyes shone. His delivery punched up.

Now, that is an issue that requires greatness. Another galactic reform out of Hyde Park. It sounds swell unless mega-trillion-dollar federal deficits are on your mind, which voter polls now show ranks with terrorism as Americans' top fears.

Obama’s historic presidential campaign was not only big in terms of an unprecedented three-quarters of a billion dollars to win. It was about Big Promises. He was going to change America, radically reform the entire education system, healthcare, comb the entire federal budget line-by-line, oh, and change the 200-year-old partisan ways of the capitol. About the only big change the White Sox fan didn't promise was getting the Cubs a World Series ring.

It was all impractical, of course. But the country wanted to believe in his change to believe in.

And it did, handing complete control of the federal government over to Obama and his Democratic party. And today, after 17 months of lop-sided Democratic majorities now nervously confronting midterm elections Nov. 2, about 60% of Americans would like the new healthcare bill repealed. And they're hinting they'd probably like some more Republicans in Congress too.

President Obama has said he doesn’t sense an appetite to address something as large as the illegal immigrant issue this year. But suddenly – watch the left hand over here because he wants you to not focus on how long it’s taken him to take charge of the spill – he thinks there’s a compelling need to spend a motorcade full of moola that the federal government doesn’t have in order to change the country’s energy habits.

And we've gotta start that right now because of an underwater leaking pipe 40 miles off Louisiana that we haven't plugged and don't really understand how it broke in the first place. So let's do the electric car thing and build more windmills now.

And if, by chance, the nation’s politicians end up fighting over an energy plan during the next five months until the voting, maybe the politically damaging healthcare regrets and hidden costs will drown in all the words like so many thousands of seabirds in all the gulf’s still-surging oil.

-- Andrew Malcolm